Jan 28, 2009 18:31
First time posting in months. I had saved this draft from my last attempted post: May 27, 2008
Amazing how fast a month flies by. Nolan is two months old today. Amazing. Much of May was spent in huntsville just basking in the awesomeness that is my nephew. The rest was mostly just staring into space and trying not to think too hard. About April. About the last year of my life. It'd be nice to just pick out some of the good moments and dwell on them, but it seems like it's all or nothing at the moment.
So I've been sitting here for a while, trying to find a good segue into this, but nothing's really coming to mind. Which is how I feel when I try to verbalize to other people what's going on with me. Lots of "ummm's" and awkward nothing's until it just finally stumbles out of my mouth: I've been diagnosed with an eating disorder. Have been. Am dealing. Of all the disorders I could see myself having, I really never pictured myself with this one (perhaps hypochondria should be added to the list) . What with my healthy obsessions about my weight and body image and my irrational anxieties about food and my perfectly normal binges and purges .... Never saw this one coming actually.
I honestly didn't think I had a problem because I wasn't skinny enough to have "that" problem...which was/is the problem (more logic, please!). Apparently you don't have to be emaciated or obese to have e.d., and surprisingly (to me anyway) many people who have it are somewhere in the middle, where I've found myself. I was diagnosed during finals week. Awesome timing. A medical leave from school was discussed (because I'd been having more frequent panic attacks), but we decided that I'd come too far to quit right before finals. It was tempting, though. To just give up. To be taken away and taken care of and not have to explain or face anybody. Very tempting. But I'm done running from it. I started treatment the week after. A whole lot harder than I expected. I didn't expect to spend several weeks discussing and dissecting my whole life to even pinpoint where and when and how and why this started. It's the first step. Second starts tomorrow when I meet with a nutritionist who works with my e.d. specialist. Third step is meeting with a regular psychiatrist to help with anxiety and depression. I'm really not sure how many steps are involved, but I'm assuming it's the as-many-steps-as-it-takes program.
# Records of crystals from another source follow
-- begin --
Record 1
Density functional theory data (PBE) for a geometry-optimized PmAg2IrO6 structure.

CIF file:
```
data_PmAg2IrO6
_symmetry_space_group_name_H-M 'P 1 21/c 1'
_symmetry_Int_Tables_number 14
_cell_length_a 5.719
_cell_length_b 5.727
_cell_length_c 9.939
_cell_angle_alpha 90.00
_cell_angle_beta 123.79
_cell_angle_gamma 90.00
loop_
_symmetry_equiv_pos_as_xyz
'x,y,z'
'-x,-y,-z'
'-x,y+1/2,-z+1/2'
'x,-y+1/2,z+1/2'
loop_
_atom_site_label
_atom_site_type_symbol
_atom_site_fract_x
_atom_site_fract_y
_atom_site_fract_z
Pm1 Pm 0.000 0.000 0.000
Ag1 Ag 0.246 0.018 0.752
Ir1 Ir 0.500 0.000 0.500
O1 O 0.191 0.042 0.276
O2 O 0.249 0.654 0.044
O3 O 0.397 0.205 0.045
```

Properties
- size of the total moment (μB per cell) = 0.00
- raw formation energy (eV per formula unit) = -10.86

=====

Record 2
Density functional theory data (PBE) for a geometry-optimized In2RePt structure.

CIF file:
```
data_In2RePt
_symmetry_space_group_name_H-M 'C 1 m 1'
_symmetry_Int_Tables_number 8
_cell_length_a 10.596
_cell_length_b 2.952
_cell_length_c 5.028
_cell_angle_alpha 90.00
_cell_angle_beta 112.55
_cell_angle_gamma 90.00
loop_
_symmetry_equiv_pos_as_xyz
'x,y,z'
'x,-y,z'
'x+1/2,y+1/2,z'
'x+1/2,-y+1/2,z'
loop_
_atom_site_label
_atom_site_type_symbol
_atom_site_fract_x
_atom_site_fract_y
_atom_site_fract_z
In1 In 0.000 0.000 0.000
In2 In 0.218 0.000 0.598
Re1 Re 0.251 0.500 0.106
Pt1 Pt 0.462 0.000 0.486
```

Properties
- total DFT energy (no corrections) (eV/atom) = -5.836
- size of the total moment (μB per cell) = 0.00

=====

Record 3
Density functional theory data (PBE) for a geometry-optimized Tm4TeS2 structure.

CIF file:
```
data_Tm4TeS2
_symmetry_space_group_name_H-M 'R -3 m'
_symmetry_Int_Tables_number 166
_symmetry_space_group_name_Hall '-R 3 2"'
_cell_length_a 3.8936
_cell_length_b 3.8936
_cell_length_c 38.8768
_cell_angle_alpha 90.00
_cell_angle_beta 90.00
_cell_angle_gamma 120.00
loop_
_atom_site_label
_atom_site_type_symbol
_atom_site_fract_x
_atom_site_fract_y
_atom_site_fract_z
Tm1 Tm 0.0000 0.0000 0.1307
Tm2 Tm 0.0000 0.0000 0.2797
Te1 Te 0.0000 0.0000 0.0000
S1 S 0.0000 0.0000 0.4241
```

Properties
- size of the total moment (μB per cell) = 0.00
- raw formation energy (eV per formula unit) = -10.04

=====

Which formula does entry 3 have? Tm4TeS2


No. 1
Rb3Er: relaxed, GGA-PBE. Values from VASP.

Quantum ESPRESSO input file:
```
&SYSTEM
  ibrav = 0, nat = 8, ntyp = 2
/
ATOMIC_SPECIES
Rb 85.47 Rb.upf
Er 167.26 Er.upf
ATOMIC_POSITIONS angstrom
Rb 0.000 2.712 1.845
Rb -2.163 6.458 1.845
Rb 2.348 1.356 5.535
Rb 2.163 6.458 1.845
Rb 6.674 1.356 5.535
Rb 4.511 5.102 5.535
Er 0.000 5.209 5.535
Er 4.511 2.605 1.845
CELL_PARAMETERS angstrom
9.023 0.000 0.000
-4.511 7.814 0.000
0.000 0.000 7.380
```

Results
Its relative energy among the computed polymorphs is 0.0 meV/atom.



No. 2
ZnTc2Os: relaxed, GGA-PBE. Values from VASP.

Quantum ESPRESSO input file:
```
&SYSTEM
  ibrav = 0, nat = 4, ntyp = 3
/
ATOMIC_SPECIES
Zn 65.41 Zn.upf
Tc 98.00 Tc.upf
-- stop --
As much as it sucks, knowing that there is something actually wrong (and that it's not just all in my head) is comforting. It explains alot to me. It helps me see why I've avoided people and why i've run away from any possible relationships lately, why I've wanted to live alone, eat alone